
Nothing is Perfect.

Someone has said so.
"The race to perfection doesn't have a finish line."
Yeah, I agree but we always try to be perfect. I certainly did.

I'm not going to tell you how to be perfect in what you do. That hassle is for you to figure out all by yourself.
I will tell you what being perfect does to you and everything related to you.
What's it gonna do? Being perfect will be a dream come true.
I disagree. Nightmares are also considered dreams.

As I said earlier, it once was my dream to be perfect. I revelled in the thought of being so. Not anymore.
There are some irreversible changes made by just trying to be perfect, forget about being perfect.

If you want to be admired by faceless people, who you don't even remember their last names, you might even be worshipped by those people (No, I'm not kidding), go ahead and do all you can to be perfect, even though you will never be absolutely perfect.

If you want to be loved by the people, whose faces you remember even in your dreams (not nightmares), don't even think of trying to be perfect.

____________
[1]
The following is a PBE calculation of a geometry-optimized KHg12Pd6 structure, from the Alexandria database.

Summary:
ρ: 11.7 g/cm³
N(E_F): 8.9 states/eV/f.u.
Energy relative to the elements: -7.2 kJ per mole of atoms
VASP energy: -37.3 eV/cell
Spin magnetization: 0.00 μB/f.u.

Cell lengths 7.9803, 7.9803, 7.9803 Å; angles 105.51, 105.51, 105.51 degrees
Element x y z (fractional)
Hg 0.8822 0.5000 0.1178
Hg 0.1178 0.5000 0.8822
Hg 0.5000 0.8822 0.1178
Hg 0.1178 0.8822 0.5000
Hg 0.8672 0.6028 0.6028
Hg 0.3972 0.3972 0.1328
Hg 0.6028 0.8672 0.6028
Hg 0.3972 0.1328 0.3972
Hg 0.1328 0.3972 0.3972
Hg 0.8822 0.1178 0.5000
Hg 0.5000 0.1178 0.8822
Hg 0.6028 0.6028 0.8672
Pd 0.2781 0.2781 0.6847
Pd 0.7219 0.7219 0.3153
Pd 0.3153 0.7219 0.7219
Pd 0.7219 0.3153 0.7219
Pd 0.2781 0.6847 0.2781
Pd 0.6847 0.2781 0.2781
K 0.0000 0.0000 0.0000


[2]
The following is a PBE calculation of a geometry-optimized K3Hg2Pd2 structure, from the Alexandria database.

Summary:
ρ: 5.6 g/cm³
N(E_F): 2.9 states/eV/f.u.
Energy relative to the elements: -18.1 kJ per mole of atoms
VASP energy: -62.4 eV/cell
Spin magnetization: 0.00 μB/f.u.

Cell lengths 6.4519, 9.2834, 14.5213 Å; angles 90.00, 90.00, 90.00 degrees
Element x y z (fractional)
Pd 0.3830 0.9796 0.4187
Pd 0.6170 0.4796 0.0813
Pd 0.6170 0.0204 0.5813
Pd 0.3830 0.9796 0.0813
Pd 0.6170 0.0204 0.9187
Pd 0.3830 0.5204 0.9187
Pd 0.6170 0.4796 0.4187
Pd 0.3830 0.5204 0.5813
Hg 0.6034 0.7500 0.0000
Hg 0.7966 0.4288 0.2500
Hg 0.2034 0.5712 0.7500
Hg 0.7966 0.0712 0.7500
Hg 0.3966 0.2500 0.0000
Hg 0.2034 0.9288 0.2500
Hg 0.6034 0.7500 0.5000
Hg 0.3966 0.2500 0.5000
K 0.6590 0.7240 0.7500
K 0.1300 0.8822 0.5968
K 0.3410 0.2760 0.2500
K 0.1300 0.8822 0.9032
K 0.6590 0.7760 0.2500
K 0.8700 0.3822 0.5968
K 0.1300 0.6178 0.4032
K 0.8700 0.1178 0.0968
K 0.1300 0.6178 0.0968
K 0.8700 0.3822 0.9032
K 0.8700 0.1178 0.4032
K 0.3410 0.2240 0.7500


[3]
The following is a PBE calculation of a geometry-optimized K2HgPd structure, from the Alexandria database.

Summary:
ρ: 5.1 g/cm³
N(E_F): 3.1 states/eV/f.u.
Energy relative to the elements: 30.3 kJ per mole of atoms
VASP energy: -6.4 eV/cell
Spin magnetization: 0.00 μB/f.u.

Cell lengths 3.5497, 3.5497, 11.6981 Å; angles 81.27, 81.27, 60.00 degrees
Element x y z (fractional)
K 0.9175 0.9175 0.2475
K 0.0825 0.0825 0.7525
Hg 0.5000 0.5000 0.5000
Pd 0.0000 0.0000 0.0000


[4]
The following is a PBE calculation of a geometry-optimized K2HgPd2 structure, from the Alexandria database.

Summary:
ρ: 5.9 g/cm³
N(E_F): 1.5 states/eV/f.u.
Energy relative to the elements: -14.3 kJ per mole of atoms
VASP energy: -13.6 eV/cell
Energy above the lowest structure with this stoichiometry: 0 meV per atom
Spin magnetization: 0.00 μB/f.u.

Cell lengths 4.7482, 5.6129, 6.3322 Å; angles 116.31, 112.02, 90.00 degrees
Element x y z (fractional)
Hg 0.0000 0.0000 0.0000
Pd 0.5000 0.7438 0.0000
Pd 0.5000 0.2562 0.0000
K 0.2023 0.7022 0.4045
K 0.7977 0.2978 0.5955


[5]
____________

"Being perfect will only increase the rate of admiration, why the hell should I stop being perfect?" you might ask.

-- The article is interrupted by materials data --
+++
(1)
An optimized crystal structure of K2Ga3NiF12. Source: Alexandria, functional PBE+U.

Cell and atoms, written as CIF:
```
data_K2Ga3NiF12
_cell_length_a 7.3022
_cell_length_b 7.3022
_cell_length_c 7.3022
_cell_angle_alpha 60.97
_cell_angle_beta 60.97
_cell_angle_gamma 60.97
_symmetry_space_group_name_H-M 'P 1'
_symmetry_Int_Tables_number 1
loop_
_symmetry_equiv_pos_as_xyz
'x,y,z'
loop_
_atom_site_label
_atom_site_type_symbol
_atom_site_fract_x
_atom_site_fract_y
_atom_site_fract_z
_atom_site_occupancy
F1 F 0.3313 0.9240 0.9240 1
F2 F 0.6823 0.6823 0.0698 1
F3 F 0.6687 0.0760 0.0760 1
F4 F 0.0760 0.0760 0.6687 1
F5 F 0.0698 0.6823 0.6823 1
F6 F 0.9302 0.3177 0.3177 1
F7 F 0.9240 0.3313 0.9240 1
F8 F 0.3177 0.9302 0.3177 1
F9 F 0.0760 0.6687 0.0760 1
F10 F 0.9240 0.9240 0.3313 1
F11 F 0.3177 0.3177 0.9302 1
F12 F 0.6823 0.0698 0.6823 1
Ni1 Ni 0.0000 0.0000 0.0000 1
Ga1 Ga 0.0000 0.0000 0.5000 1
Ga2 Ga 0.5000 0.0000 0.0000 1
Ga3 Ga 0.0000 0.5000 0.0000 1
K1 K 0.3619 0.3619 0.3619 1
K2 K 0.6381 0.6381 0.6381 1
```

Calculated values
Crystal system: trigonal

(2)
An optimized crystal structure of NiHF4. Source: Alexandria, functional PBE+U.

Cell and atoms, written as CIF:
```
data_NiHF4
_cell_length_a 5.0840
_cell_length_b 4.8748
_cell_length_c 6.7692
_cell_angle_alpha 68.90
_cell_angle_beta 84.09
_cell_angle_gamma 73.38
_symmetry_space_group_name_H-M 'P 1'
_symmetry_Int_Tables_number 1
loop_
_symmetry_equiv_pos_as_xyz
'x,y,z'
loop_
_atom_site_label
_atom_site_type_symbol
_atom_site_fract_x
_atom_site_fract_y
_atom_site_fract_z
_atom_site_occupancy
Ni1 Ni 0.7500 0.0649 0.3703 1
Ni2 Ni 0.2500 0.9351 0.6297 1
H1 H 0.2500 0.3332 0.8336 1
H2 H 0.7500 0.6668 0.1664 1
F1 F 0.7001 0.9172 0.1564 1
F2 F 0.8808 0.1770 0.5871 1
F3 F 0.1192 0.8230 0.4129 1
F4 F 0.7999 0.4264 0.1564 1
F5 F 0.2999 0.0828 0.8436 1
F6 F 0.2001 0.5736 0.8436 1
F7 F 0.6192 0.7359 0.5871 1
F8 F 0.3808 0.2641 0.4129 1
```

Calculated values
Crystal system: monoclinic

no.,E (eV per atom)
1,-4.536
2,-3.848
+++
-- End of the materials data --

I remind you again, we are just trying to be perfect, not perfect. The answer to your question is in the question itself. Read it again. There is a huge difference between being adored and being loved, even adored doesn't mean loved. Oh well, I know you understand.

I say this because, once we try being perfect, with each and every way we mould ourselves into being perfect, people around us admire us while people closer to us respect us. Its all good but the admiration hides a dark face and so does the respect. The dark face of admiration is Envy and the dark face of respect is Negligence.

I can see eyebrows raising and lips mumbling. Even though people admire you being perfect (not perfect, but more than they are), there dwells Envy in them that they are unable to be someone like you and Envy can be dangerous. You can deny this, I won't mind.

The respect grown over you will transform into something of a standard for you and you will be looked with that standard as par. With every passing event, the Negligence makes the par baseless, making whatever you do as expected already and you have just met the expectations. Don't misunderstand me, you are still respected and held in their hearts but as a completely different person. Your close ones still love you but differently, because you are a better being (atleast in their eyes). You can deny this too, I won't mind.

As I have learnt, Denial is a Prime nature of beings with self Consciousness. If you deny this, well, I won't mind even now, what with Denial being a Prime nature and all.

Finally, trying to be perfect isn't a bad thing in the long shot, when you are not a people's person or somethng related to that. I wasn't too, until I started trying to be perfect. Now it's been long since trying to be perfect but still, the damage was done already (even though I wouldn't consider it a damage, being once, not a people's person). I'm now trying to find a balance in-between before the changes turn permanent (I still think there is a chance. How stupid of me!)

The choice is yours at the end, however. I'm sot assisting you in choosing between choices but stating the consequences after a definite time period. The choice is yours (Huh, how elusive and illusive?! Yeah, I can be deceiving).

+++
# Be4CoTe | Alexandria via LeMat-Bulk | PBEsol | optimized geometry
data_Be4CoTe
_chemical_formula_sum 'Be4 Co1 Te1'
_cell_length_a 4.493
_cell_length_b 4.493
_cell_length_c 4.493
_cell_angle_alpha 60.00
_cell_angle_beta 60.00
_cell_angle_gamma 60.00
_space_group_name_H-M_alt 'P 1'
_space_group_IT_number 1
_space_group_name_Hall 'P 1'
loop_
_atom_site_label
_atom_site_fract_x
_atom_site_fract_y
_atom_site_fract_z
Be1 0.378 0.378 0.378
Be2 0.378 0.378 0.866
Be3 0.378 0.866 0.378
Be4 0.866 0.378 0.378
Co1 0.750 0.750 0.750
Te1 0.000 0.000 0.000
# - Total magnetic moment: 0.00 μB/f.u.
# - Formation energy without anion corrections: 283 meV/atom
+++

P.S.: Race to perfection does have a finish line. It's when you choose not to try to be perfect anymore.
